Your job: filter the notes below: keep the lines with the word "pos".

No. 1
Here is a molecular structure, C12H15N6O4PSTa from OMol25. Energies are from ωB97M-V/def2-TZVPD.

```
40
Properties=species:S:1:pos:R:3:forces:R:3:mulliken_charge:R:1
Ta -1.25831 -1.26051 -1.08493 -0.216 -0.225 -0.106 1.538
S -2.72950 -2.73401 -2.32649 0.281 0.281 0.186 1.103
P 0.79497 0.79602 0.68202 -0.019 -0.017 -0.007 -0.206
O -2.78977 -1.18608 -2.46216 -0.095 0.085 -0.105 -0.515
O -2.70686 -2.71005 -0.77671 -0.071 -0.071 0.120 -0.516
O -1.18144 -2.79322 -2.46092 0.085 -0.093 -0.104 -0.515
O -3.56553 -3.57115 -3.04579 -0.016 -0.016 -0.003 -0.477
N 0.79596 -1.32856 -1.23895 0.204 0.039 -0.079 -0.199
N 2.80540 -0.64339 -0.71689 -0.025 0.059 -0.014 0.189
N -1.21868 -1.22015 0.97427 -0.007 -0.009 0.228 -0.203
N -0.64616 2.80381 -0.71917 0.061 -0.025 -0.015 0.188
N -0.47128 -0.46910 2.88649 0.016 0.013 -0.008 0.190
N -1.32826 0.79318 -1.24068 0.039 0.210 -0.078 -0.198
C -1.65165 2.93995 -1.64938 -0.011 0.016 0.026 -0.392
C -0.35044 -0.35017 1.56711 0.004 0.009 -0.116 0.273
C -2.07801 1.69464 -1.97544 -0.055 0.028 -0.023 -0.348
C 2.94340 -1.64953 -1.64610 0.015 -0.009 0.026 -0.393
C 1.51072 -0.44707 -0.48067 -0.102 -0.045 0.060 0.262
C -1.89047 -1.89197 1.98076 -0.032 -0.030 0.026 -0.344
C -0.44819 1.50955 -0.48214 -0.047 -0.103 0.060 0.262
C 0.08131 3.94100 -0.11425 -0.034 -0.058 -0.036 -0.713
C 3.94127 0.08588 -0.11168 -0.058 -0.034 -0.036 -0.713
C 1.69879 -2.07764 -1.97266 0.028 -0.055 -0.022 -0.348
C 0.27580 0.27993 3.92053 -0.039 -0.039 -0.057 -0.708
C -1.42406 -1.42318 3.16459 0.007 0.007 0.006 -0.398
H -2.84803 1.37822 -2.66004 0.002 0.001 0.000 0.593
H -1.97520 3.90963 -1.99151 -0.026 -0.015 -0.025 0.472
H -0.37252 4.85694 -0.47960 0.012 0.010 0.014 0.319
H -0.01478 3.89882 0.96752 0.023 0.020 0.003 0.337
H 3.91372 -1.97211 -1.98732 -0.015 -0.026 -0.025 0.471
H 1.38368 -2.84856 -2.65683 0.002 0.002 0.000 0.593
H 4.85804 -0.36577 -0.47767 0.010 0.012 0.014 0.319
H 1.33800 0.07081 3.82300 0.008 0.021 0.021 0.338
H 3.89958 -0.01122 0.97002 0.020 0.023 0.003 0.338
H 1.12383 3.90750 -0.42038 0.011 0.024 0.019 0.342
H -0.07066 -0.06096 4.89110 0.016 0.016 0.011 0.319
H -1.68383 -1.68205 4.17823 -0.025 -0.025 -0.010 0.472
H 0.07090 1.34241 3.81744 0.022 0.008 0.021 0.337
H -2.63735 -2.64042 1.77221 0.001 0.001 0.004 0.594
H 3.90560 1.12859 -0.41692 0.024 0.011 0.019 0.342
```
Positions in Å, forces in eV/Å.

Output
Orbital gap (eV): 7.48
Largest force on an atom (eV/Å): 0.439
LUMO energy (eV): -12.14
Total charge: +3
Energy relative to the best compared isomer or geometry (same formula, charge and spin) (kJ/mol): 0.0
Electronic energy (Ha): -1891.4121
M (u): 551.3


No. 2
Here is a molecular structure, C17H23CdN4O3 from OMol25. Energies are from ωB97M-V/def2-TZVPD.

```
48
Properties=species:S:1:pos:R:3:forces:R:3:mulliken_charge:R:1
Cd -0.02174 -0.13217 -0.05761 0.418 0.181 -0.195 0.866
O 2.07257 3.63371 0.77922 -0.161 -0.148 0.059 -0.767
O 0.53230 2.00615 0.58293 -0.315 -0.321 0.151 -0.743
O -2.47214 -0.33280 1.19109 0.154 -0.041 0.196 -0.374
N 0.21581 -0.70580 -1.99823 0.045 0.106 0.127 -0.985
N 2.54687 0.27521 -0.13693 -0.174 0.114 0.109 -0.476
N 2.79437 1.53371 0.44816 -0.109 0.011 0.130 -0.258
N 0.67504 -1.08259 2.23640 0.137 0.419 0.043 0.071
C -0.45198 -0.20322 -3.03232 -0.096 -0.308 -0.127 0.290
C 1.71317 2.46719 0.60725 0.488 0.026 -0.107 0.462
C 1.62929 -0.74553 -4.35770 -0.169 0.015 -0.025 -1.404
C -2.61170 0.40157 -1.80385 0.126 -0.109 -0.173 -1.028
C 1.62490 -2.01575 2.30729 -0.224 -0.145 -0.228 -0.654
C -1.96792 0.26635 3.51595 0.123 -0.102 -0.151 -0.842
C -0.56097 0.78237 3.18786 -0.114 -0.138 0.071 -0.494
C -2.44850 -0.79344 2.53388 -0.075 0.043 0.179 -0.747
C 1.21788 -0.45047 4.46989 0.178 -0.160 0.199 -0.758
C -2.37493 0.74041 -4.25342 0.061 0.020 -0.048 -0.788
C -1.80173 0.31806 -3.06481 0.021 0.047 0.012 0.845
C -0.40052 0.19965 -5.47325 -0.028 -0.023 0.056 -0.607
C 0.48503 -0.28864 3.30057 -0.126 0.113 -0.152 1.044
C 2.38724 -2.24653 3.43485 0.083 -0.029 0.213 -0.527

Properties=species:S:1:pos:R:3:forces:R:3:mulliken_charge:R:1
Properties=species:S:1:pos:R:3:forces:R:3:mulliken_charge:R:1